What is UNOSEL ?

Created in 1978, UNOSEL is a non-profit association, with currently 57 members who are organizers of educational and language stays, and summer/holiday camps. Members commit themselves to 4 core values : Trust, Ethics, Security  and Education.

To become a UNOSEL member, an organization has to follow a labelling process which may take several months. If all  criterias  are  met and their inspection is passed, they  obtain the  UNOSEL Quality Label.  Accredited members are then re inspected every 2 years. Our inspections insures that all members meet the required standard of quality.

UNOSEL members who are acting as agents are considered fully responsible for every aspect of a course/stay. Therefore partner schools/providers are also required to meet all the standards defined in the label.

A major role in the profession

/*
# 1
Here is Rb2BaYI6 after structural relaxation from the Alexandria database. Energies are from PBE.

CIF file:
```
data_Rb2BaYI6
_cell_length_a 12.838
_cell_length_b 12.838
_cell_length_c 12.838
_cell_angle_alpha 90.00
_cell_angle_beta 90.00
_cell_angle_gamma 90.00
_space_group_name_H-M_alt 'F m -3 m'
_space_group_IT_number 225
_space_group_name_Hall '-F 4 2 3'
loop_
_atom_site_label
_atom_site_type_symbol
_atom_site_fract_x
_atom_site_fract_y
_atom_site_fract_z
Rb1 Rb 0.250 0.250 0.250
Ba1 Ba 0.000 0.000 0.000
Y1 Y 0.000 0.000 0.500
I1 I 0.000 0.000 0.263
```

## Properties
Energy in eV/atom: -3.34
Theoretical density in g cm⁻³: 3.64
Formation energy without anion corrections in eV per atom: -1.378
Crystal system: cubic



# 2
Here is RbBaYI2 after structural relaxation from the Alexandria database. Energies are from PBE.

CIF file:
```
data_RbBaYI2
_cell_length_a 6.532
_cell_length_b 6.532
_cell_length_c 6.992
_cell_angle_alpha 90.00
_cell_angle_beta 90.00
_cell_angle_gamma 90.00
_space_group_name_H-M_alt 'P 4/m m m'
_space_group_IT_number 123
_space_group_name_Hall '-P 4 2'
loop_
_atom_site_label
_atom_site_type_symbol
_atom_site_fract_x
_atom_site_fract_y
_atom_site_fract_z
Rb1 Rb 0.000 0.000 0.000
Ba1 Ba 0.500 0.500 0.500
Y1 Y 0.000 0.000 0.500
I1 I 0.000 0.500 0.000
```

## Properties
Energy in eV/atom: -2.53
Theoretical density in g cm⁻³: 3.15
Formation energy without anion corrections in eV per atom: -0.043
Crystal system: tetragonal



# 3
Here is Rb2BaZrI6 after structural relaxation from the Alexandria database. Energies are from PBE.

CIF file:
```
data_Rb2BaZrI6
_cell_length_a 12.644
_cell_length_b 12.644
_cell_length_c 12.644
_cell_angle_alpha 90.00
_cell_angle_beta 90.00
_cell_angle_gamma 90.00
_space_group_name_H-M_alt 'F m -3 m'
_space_group_IT_number 225
_space_group_name_Hall '-F 4 2 3'
loop_
_atom_site_label
_atom_site_type_symbol
_atom_site_fract_x
_atom_site_fract_y
_atom_site_fract_z
Rb1 Rb 0.250 0.250 0.250
Ba1 Ba 0.000 0.000 0.000
Zr1 Zr 0.000 0.000 0.500
I1 I 0.000 0.000 0.266
```

## Properties
Energy in eV/atom: -3.37
Theoretical density in g cm⁻³: 3.81
Formation energy without anion corrections in eV per atom: -1.203
Crystal system: cubic



# 4
Here is BaReI2 after structural relaxation from the Alexandria database. Energies are from PBE.

CIF file:
```
data_BaReI2
_cell_length_a 8.283
_cell_length_b 8.283
_cell_length_c 8.283
_cell_angle_alpha 90.00
_cell_angle_beta 90.00
_cell_angle_gamma 90.00
_space_group_name_H-M_alt 'F m -3 m'
_space_group_IT_number 225
_space_group_name_Hall '-F 4 2 3'
loop_
_atom_site_label
_atom_site_type_symbol
_atom_site_fract_x
_atom_site_fract_y
_atom_site_fract_z
Ba1 Ba 0.000 0.000 0.000
Re1 Re 0.000 0.000 0.500
I1 I 0.250 0.250 0.250
```

## Properties
Energy in eV/atom: -3.90
Theoretical density in g cm⁻³: 6.75
Energy relative to the lowest polymorph listed for this composition in eV/atom: 0.016
Formation energy without anion corrections in eV per atom: 0.465
Crystal system: cubic
*/

For  more than 40 years, UNOSEL has been active in the development of educational provision for young people and adults. It is the largest federation of language schools and of language and educational tour organisers.

UNOSEL sits on the NF-Service Special Committee (“Comité Particulier”) for Language Study Tour Organisers.

As an expert in the field, UNOSEL took an active part in the creation of the European Standard for language tours and language courses under the aegis of the European Standards Committee (CEN – Comité Européen de Normalisation).

Members of UNOSEL are a mixture of large and small structures, companies or non-profit making organisations who, within the association, all have an equal say in decision making. For operational purposes, members work on three committees : Educational Tours for Schools, Language Study Holidays, Educational Tours for Young People. These committees meet very regularly to examine and discuss each sector’s problems, to invite experts in the field for their opinions, thereby making progress in the quality of each sector.

These committees are UNOSEL’s life blood. It is within them that the majority of decisions are taken, and the Federation’s positions on different matters are decided. They also provide a forum for members to exchange information and ideas about the way their activity is evolving and developing.

UNOSEL’s Mission Statement

  • UNOSEL was founded to advise and protect participants of language study holiday and educational tours for young people and adults by ensuring that their expectations were satisfied. Among other things, this pre-supposes that the client deals with a professional organisation that complies with current French legislation.

  • UNOSEL helps the profession to develop, and thereby enhances its image ; defends its interests and ensures that it is properly represented in France, in Europe and throughout the world

  • UNOSEL maintains regular contact with prescribers, ministries, tourist information offices, local authorities, multi-national companies, professional organisations, parents’ associations, consumer organisations, and workers’ council representatives. This ongoing search for dialogue enables us to be aware of each others’ problems and to contribute to finding possible solutions.

  • UNOSEL is a strategic and technological observatory over the language learning business. This enables us to collect important information about markets, products and consumer expectations.

  • UNOSEL encourages the development of relations between existing institutions to attain common objectives.

In 2019 UNOSEL represented

55 000
individual language stays abroad
403 000
students taking part in school and educational group tours
47 000
people taking part in holidays camps